Stop where you are. Pause for a moment and take inventory of your body. Notice where your shoulders are right now. Are they relaxed, or are they up by your ears? If they are, indeed, up by your ears: Take a deep breath, do a few shoulder rolls and allow your shoulders to relax naturally.
Misplaced calculated crystals.
+++
LiCu3: theoretical powder diffractogram (Cu Kα (weighted mean of Kα1 and Kα2)), based on a DFT-relaxed cell (GGA-PBE, the Materials Project).
Kinematic intensities with the Lorentz-polarization factor, no thermal factor.

Structure:
a b c (Å): 5.7582 5.7582 5.7582
angles (deg): 90.00 90.00 90.00
Space group Fm-3m (No. 225)
Unique sites:
Li 0.0000 0.0000 0.0000 (multiplicity 4)
Cu 0.0000 0.0000 0.5000 (multiplicity 4)
Cu 0.2500 0.2500 0.2500 (multiplicity 8)

Largest 8 diffraction maxima, by angle, 10 to 80 degrees two-theta:
(1 1 1), 2θ = 26.8°, I 25
(2 0 0), 2θ = 31.1°, I 13
(2 2 0), 2θ = 44.5°, I 100
(3 1 1), 2θ = 52.7°, I 11
(2 2 2), 2θ = 55.3°, I 3
(4 0 0), 2θ = 64.8°, I 15
(3 3 1), 2θ = 71.4°, I 4
(4 2 0), 2θ = 73.6°, I 4

=====

Record 1
Theoretical XRD peak list
Compound: ErCuGe
Radiation: CuKα
Structure: a GGA-PBE-relaxed structure
No peak broadening, texture or thermal motion is included.

Structure:
Cell lengths 4.3282, 4.3282, 7.1903 Å; angles 90.00, 90.00, 120.00 degrees
Space group P-3m1 (No. 164)
Unique sites:
Er (0.0000, 0.0000, 0.2374)
Cu (0.3333, 0.6667, 0.0226)
Ge (0.3333, 0.6667, 0.4662)

Top 8 peaks for 2θ = 10–90°, by angle:
- 2θ = 23.74°, 3.748 Å, intensity 21, hkl 1 0 0
- 2θ = 34.57°, 2.595 Å, intensity 100, hkl 0 1 2
- 2θ = 41.74°, 2.164 Å, intensity 53, hkl 1 1 0
- 2θ = 50.79°, 1.798 Å, intensity 7, hkl 0 0 4
- 2θ = 55.27°, 1.662 Å, intensity 26, hkl 2 0 2
- 2θ = 67.77°, 1.383 Å, intensity 18, hkl 1 1 4
- 2θ = 71.59°, 1.318 Å, intensity 24, hkl 1 2 2
- 2θ = 76.20°, 1.249 Å, intensity 9, hkl 3 0 0

***

Record 2
Theoretical XRD peak list
Compound: BeSnP2
Radiation: CuKα
Structure: a GGA-PBE-relaxed structure
No peak broadening, texture or thermal motion is included.

Structure:
Cell lengths 5.442, 5.442, 10.878 Å; angles 90.00, 90.00, 90.00 degrees
Space group I-42d (No. 122)
Unique sites:
Be (0.000, 0.000, 0.000)
Sn (0.000, 0.000, 0.500)
P (0.196, 0.750, 0.125)

Top 8 peaks for 2θ = 10–90°, by angle:
- 2θ = 18.23°, 4.867 Å, intensity 69, hkl 1 0 1
- 2θ = 28.41°, 3.141 Å, intensity 100, hkl 1 1 2
- 2θ = 29.60°, 3.018 Å, intensity 38, hkl 1 0 3
- 2θ = 37.88°, 2.375 Å, intensity 42, hkl 2 1 1
- 2θ = 44.86°, 2.021 Å, intensity 29, hkl 1 0 5
- 2θ = 47.25°, 1.924 Å, intensity 60, hkl 2 0 4
- 2θ = 56.06°, 1.641 Å, intensity 43, hkl 1 1 6
- 2θ = 87.91°, 1.111 Å, intensity 19, hkl 2 2 8
+++
Tension in your shoulders is just one example of how you might carry stress in your body without even realizing it. Most of us walk around with some permanent level of stress — a lower level and a higher level. Even though we’re not living in primitive times where we’re being chased by a saber-toothed tiger, we are still on high alert because of the perceived dangers in the world we live in today. The only way to relieve this stress is to take better care of ourselves – something we know, but don’t do nearly enough.
It’s time to get serious about self-care – for ourselves and for the world.
(Unrelated to this piece: crystal structures)
For K2Bi3Pb5, a structure optimized by DFT (PBE) gives the computed PXRD pattern in this record (Cu Kα (λ = 1.5418 Å)).
Intensities are scaled so that the largest is 100.

Most intense lines, 5 to 70 degrees two-theta, by angle:
2θ/deg  I_rel
12.73  64
17.86  87
26.79  62
33.71  100
35.02  71
35.28  70

```
K2Bi3Pb5
1.0
-6.955 7.464 3.789
6.955 -7.464 3.789
6.955 7.464 -3.789
K Bi Pb
4 6 10
Cartesian
3.404 1.837 0.000 K
3.404 -1.837 3.789 K
3.551 9.301 0.000 K
3.551 5.627 3.789 K
8.913 1.834 0.000 Bi
0.000 0.000 1.895 Bi
1.957 5.630 0.000 Bi
4.998 1.834 3.789 Bi
0.000 0.000 5.684 Bi
-1.957 5.630 3.789 Bi
6.955 -3.645 1.895 Pb
12.103 1.890 0.000 Pb
6.955 0.000 1.895 Pb
5.148 5.574 0.000 Pb
6.955 3.645 1.895 Pb
0.000 3.819 1.895 Pb
1.807 1.890 3.789 Pb
0.000 7.464 1.895 Pb
-5.148 5.574 3.789 Pb
0.000 11.109 1.895 Pb
```


Starting from a structure optimized by DFT (PBE+U), the powder XRD pattern of CaFeSeO was calculated for Cu Kα, 1.54184 Å.
Lines closer than 0.1° are merged.

Main lines, in order of rising 2θ (2θ = 10–90°):
2θ (°), I (rel.)
19.7, 19
29.6, 30
30.2, 100
38.2, 21
40.1, 19
42.8, 35
43.3, 13
46.1, 20

Crystal structure
```
CaFeSeO
1.0
6.0342 0.0000 0.0000
0.0000 3.9373 0.0000
0.0000 0.0000 13.4944
Ca Fe Se O
4 4 4 4
direct
0.2489 0.2500 0.0816
0.2511 0.7500 0.5816
0.7489 0.2500 0.4184
0.7511 0.7500 0.9184
0.1124 0.2500 0.7944
0.3876 0.7500 0.2944
0.6124 0.2500 0.7056
0.8876 0.7500 0.2056
0.2423 0.2500 0.4056
0.2577 0.7500 0.9056
0.7423 0.2500 0.0944
0.7577 0.7500 0.5944
0.2073 0.7500 0.1726
0.2927 0.2500 0.6726
0.7073 0.7500 0.3274
0.7927 0.2500 0.8274
```


Starting from a structure optimized by DFT (PBE+U), the powder XRD pattern of AlV2O4 was calculated for Cu Kα, 1.54184 Å.
Lines closer than 0.1° are merged.

Main lines, in order of rising 2θ (2θ = 10–90°):
2θ (°), I (rel.)
18.5, 42
35.2, 67
35.4, 66
35.6, 65
35.7, 100
42.8, 72
43.0, 71
43.3, 69

Crystal structure
```
AlV2O4
1.0
5.9263 0.0000 0.0000
2.9129 5.2290 0.0000
2.9347 1.7782 9.5877
Al V O
4 8 16
direct
0.0611 0.0646 0.3151
0.4377 0.4326 0.1846
0.5623 0.5674 0.8154
0.9389 0.9354 0.6849
0.0000 0.0000 0.0000
0.0000 0.5000 0.0000
0.0000 0.5000 0.5000
0.2527 0.2540 0.7442
0.5000 0.0000 0.0000
0.5000 0.0000 0.5000
0.5000 0.5000 0.5000
0.7473 0.7460 0.2558
0.1212 0.6325 0.6241
0.1261 0.1191 0.6228
0.1274 0.6178 0.1230
0.1288 0.1288 0.1248
0.3682 0.8824 0.3780
0.3760 0.3771 0.8789
0.3776 0.3641 0.3746
0.3809 0.8744 0.8766
0.6191 0.1256 0.1234
0.6224 0.6359 0.6254
0.6240 0.6229 0.1211
0.6318 0.1176 0.6220
0.8712 0.8712 0.8752
0.8726 0.3822 0.8770
0.8739 0.8809 0.3772
0.8788 0.3675 0.3759
```


Starting from a structure optimized by DFT (PBE+U), the powder XRD pattern of LiVOF2 was calculated for Cu Kα, 1.54184 Å.
Lines closer than 0.1° are merged.

Main lines, in order of rising 2θ (2θ = 10–90°):
2θ (°), I (rel.)
13.3, 74
14.1, 82
21.5, 81
22.0, 74
26.7, 74
28.4, 57
39.0, 100
61.5, 56

Crystal structure
```
LiVOF2
1.0
8.8242 0.0000 0.0000
0.0000 5.2755 0.0000
When we take care of ourselves we treat other people better – we are a better partner, we are a better coworker, we are a better friend. This is because we feel good inside. Let’s be real: when we don’t feel good, we treat other people like shit.
Self-care is also a tool of social justice. Practicing it could drive a world that’s more just and equitable for all. Think about racism. I believe, if white people who choose hatred were happier and took care of themselves more, they wouldn’t mistreat Black folks and other non-white folks so badly.
Here the piece breaks off for crystal structures
'''
Computed powder X-ray diffraction pattern
Compound: TaTe2Cl6
Radiation: CuKα
Structure: a cell relaxed with PBE
Kinematic intensities with the Lorentz-polarization factor, no thermal factor.

Atomic structure:
Cell lengths 7.4046, 7.4292, 11.9731 Å; angles 76.49, 80.42, 81.03 degrees
Element x y z (fractional)
Ta1 0.1716 0.1957 0.2090
Ta2 0.8284 0.8043 0.7910
Te1 0.3464 0.7330 0.5104
Te2 0.4076 0.3956 0.6573
Te3 0.5924 0.6044 0.3427
Te4 0.6536 0.2670 0.4896
Cl1 0.0511 0.9079 0.2882
Cl2 0.1306 0.2540 0.4020
Cl3 0.1332 0.6512 0.8107
Cl4 0.2107 0.1352 0.0248
Cl5 0.3033 0.4729 0.1388
Cl6 0.4741 0.0346 0.2470
Cl7 0.5259 0.9654 0.7530
Cl8 0.6967 0.5271 0.8612
Cl9 0.7893 0.8648 0.9752
Cl10 0.8668 0.3488 0.1893
Cl11 0.8694 0.7460 0.5980
Cl12 0.9489 0.0921 0.7118

Principal peaks in the range 2θ from 10° to 80°, most intense first:
(hkl)  2θ (°)  I/Imax
1 1 1  16.08  100
1 0 -1  15.31  61
0 1 4  30.86  39
0 1 -1  15.89  33
1 0 2  18.32  28
2 0 1  24.73  27
1 -1 0  18.44  26
3 -1 1  41.15  24
1 1 2  19.26  20
-2 1 3  37.82  20

---

Computed powder X-ray diffraction pattern
Compound: PrGa6
Radiation: CuKα
Structure: a cell relaxed with PBE
Kinematic intensities with the Lorentz-polarization factor, no thermal factor.

Atomic structure:
Cell lengths 6.0758, 6.0758, 7.7016 Å; angles 90.00, 90.00, 90.00 degrees
Element x y z (fractional)
Pr1 0.2500 0.7500 0.0000
Pr2 0.7500 0.2500 0.0000
Ga1 0.0617 0.5617 0.3515
Ga2 0.0617 0.9383 0.6485
Ga3 0.2500 0.2500 0.1632
Ga4 0.2500 0.2500 0.8368
Ga5 0.4383 0.5617 0.6485
Ga6 0.4383 0.9383 0.3515
Ga7 0.5617 0.0617 0.6485
Ga8 0.5617 0.4383 0.3515
Ga9 0.7500 0.7500 0.1632
Ga10 0.7500 0.7500 0.8368
Ga11 0.9383 0.0617 0.3515
Ga12 0.9383 0.4383 0.6485

Principal peaks in the range 2θ from 10° to 80°, most intense first:
(hkl)  2θ (°)  I/Imax
2 0 1  31.66  100
1 1 3  40.95  45
0 0 3  35.00  42
2 2 0  42.06  37
1 1 2  31.19  34
2 1 2  40.64  28
3 1 4  69.09  24
3 1 2  53.28  22
3 3 3  76.10  20
4 1 2  68.13  12

=====

This entry pairs a crystal structure of Gd3CuSnS7 with its calculated XRD peak list. Radiation: Cu Kα. Structure: the GGA-PBE geometry in the Materials Project.
Intensities are scaled so that the largest is 1000.

Top 10 peaks for 5 to 70 degrees two-theta, low angle first:
- 20.73°, I 168
- 22.96°, I 142
- 25.23°, I 1000
- 28.67°, I 207
- 35.65°, I 278
- 36.32°, I 498
- 37.86°, I 141
- 40.18°, I 213
- 46.92°, I 219
- 48.75°, I 259

Structural model:
```
data_Gd3CuSnS7
_chemical_formula_sum 'Gd6 Cu2 Sn2 S14'
_space_group_name_H-M_alt 'P 63'
_space_group_IT_number 173
_space_group_name_Hall 'P 6c'
_cell_length_a 9.8939
_cell_length_b 9.8939
_cell_length_c 6.2265
_cell_angle_alpha 90.00
_cell_angle_beta 90.00
_cell_angle_gamma 120.00
loop_
_atom_site_label
_atom_site_fract_x
_atom_site_fract_y
_atom_site_fract_z
Gd1 0.1414 0.7827 0.0000
Cu1 0.0000 0.0000 0.3998
Sn1 0.3333 0.6667 0.5664
S1 0.0845 0.5160 0.7460
S2 0.1070 0.8485 0.4291
S3 0.3333 0.6667 0.1818
```

=====
'''
So, you might be asking: Where do we start in this journey to self-care? Here are some suggestions for practicing self-care throughout the day.
Start with the foundation: How you start your day often sets the tone of your day, and the energy with which you engage with people throughout the day. This is why you need a healthy, intentional morning routine. Use this guided breathing exercise that I created to help you start your day.
Show yourself some (self) love: In my book, Black People Breathe, I have a chapter called “A Journey to Self Love” and an exercise called:
“What do I love about myself?”
Set a timer for five minutes and answer this question in your journal. It might feel weird at first or make you feel as though you’re bragging; but you’re not. Plus, this is just for you – no one is going to read this but you. Write the first things that come to mind. Don’t think too hard about it. If it comes to you, write it down. It counts. It matters. If you can’t come up with anything, just start writing anyway. The act of moving your pen and getting started, even if it’s to write, “I have no idea what I love about myself,” will build momentum to get your ideas flowing.
When the five-minute timer is up, take a moment to read what you wrote. Close your eyes and experience what it feels like to know, and appreciate all of the amazing things that are a part of you!
Give yourself a break: Take breathers throughout the day. Don’t book those back-to-back meetings. Get up to stretch in between, go outside for three minutes and allow the sun to shine on your face or enjoy what I call “conscious dance relief.” Put on your headphones, play your favorite song and dance around for three minutes like no one is watching! It’ll get your blood flowing and probably make you smile.
Be your own cheerleader: At the end of your day, celebrate yo’self. Something as simple as giving yourself props for 10 seconds can help alleviate your stress. What did you do that you’re proud of? It could be something simple like finally crossing an item off your to-do list that’s been nagging you for way too long. Celebrate that! You deserve it!
Zee Clarke is the author of the book, Black People Breathe (Penguin Random House). She has been featured in many leading publications including ABC, Fortune, Forbes, CNBC, Ebony, Essence, and Fast Company. She is a Harvard Business School graduate who applies holistic healing practices to corporate environments. Zee leads transformative workshops on mindfulness, breathwork and stress management tools for BIPOC employees at organizations such as Google, Visa, AMC Networks and more. Learn more at